### Given
1.
# Li5Cd3
Simulated powder diffractogram, copper Kα. Input: a DFT-relaxed cell (GGA-PBE, Alexandria).
Lines closer than 0.1° are merged.

Principal peaks in the range 2θ = 10–90°, low angle first:
| d (Å) | intensity |
| --- | --- |
| 6.700 | 14.5 |
| 3.869 | 100.0 |
| 3.350 | 15.8 |
| 2.987 | 20.2 |
| 2.533 | 16.6 |
| 2.364 | 62.1 |
| 2.232 | 29.6 |
| 1.933 | 17.4 |
| 1.858 | 17.9 |
| 1.578 | 20.7 |

Atomic structure:
Lattice parameters (Å, degrees): 7.737 7.737 2.987 90.00 90.00 120.00
Positions (direct):
Li (0.000, 0.245, 0.000)
Li (0.245, 0.000, 0.000)
Li (0.333, 0.667, 0.000)
Li (0.667, 0.333, 0.000)
Li (0.755, 0.755, 0.000)
Cd (0.000, 0.613, 0.500)
Cd (0.387, 0.387, 0.500)
Cd (0.613, 0.000, 0.500)

2.
# Li7Cd2
Simulated powder diffractogram, copper Kα. Input: a DFT-relaxed cell (GGA-PBE, Alexandria).
Lines closer than 0.1° are merged.

Principal peaks in the range 2θ = 10–90°, low angle first:
| d (Å) | intensity |
| --- | --- |
| 4.314 | 30.9 |
| 4.087 | 21.7 |
| 3.694 | 100.0 |
| 2.967 | 21.9 |
| 2.360 | 29.6 |
| 2.352 | 36.4 |
| 2.070 | 25.5 |
| 1.989 | 17.6 |
| 1.591 | 14.7 |
| 1.361 | 16.9 |

Atomic structure:
Lattice parameters (Å, degrees): 4.720 4.720 8.628 90.00 90.00 120.00
Positions (direct):
Li (0.000, 0.000, 0.000)
Li (0.000, 0.000, 0.328)
Li (0.000, 0.000, 0.672)
Li (0.333, 0.667, 0.108)
Li (0.333, 0.667, 0.436)
Li (0.667, 0.333, 0.564)
Li (0.667, 0.333, 0.892)
Cd (0.333, 0.667, 0.772)
Cd (0.667, 0.333, 0.228)

Please write out number 2 again, unchanged.
# Li7Cd2
Simulated powder diffractogram, copper Kα. Input: a DFT-relaxed cell (GGA-PBE, Alexandria).
Lines closer than 0.1° are merged.

Principal peaks in the range 2θ = 10–90°, low angle first:
| d (Å) | intensity |
| --- | --- |
| 4.314 | 30.9 |
| 4.087 | 21.7 |
| 3.694 | 100.0 |
| 2.967 | 21.9 |
| 2.360 | 29.6 |
| 2.352 | 36.4 |
| 2.070 | 25.5 |
| 1.989 | 17.6 |
| 1.591 | 14.7 |
| 1.361 | 16.9 |

Atomic structure:
Lattice parameters (Å, degrees): 4.720 4.720 8.628 90.00 90.00 120.00
Positions (direct):
Li (0.000, 0.000, 0.000)
Li (0.000, 0.000, 0.328)
Li (0.000, 0.000, 0.672)
Li (0.333, 0.667, 0.108)
Li (0.333, 0.667, 0.436)
Li (0.667, 0.333, 0.564)
Li (0.667, 0.333, 0.892)
Cd (0.333, 0.667, 0.772)
Cd (0.667, 0.333, 0.228)

=====

# 1
Diffraction record for Ca2OF2. The powder diffraction line list is computed, not measured: it uses a crystal structure in Alexandria, relaxed with PBE and Cu Kα (weighted mean of Kα1 and Kα2).
Peak positions follow from Bragg's law for the DFT cell and can differ from measured ones.

a = 8.2975 Å, b = 6.4998 Å, c = 5.9237 Å
α = 90.00°, β = 94.85°, γ = 90.00°
Fractional positions:
Ca (0.0417, 0.1184, 0.2314)
Ca (0.0417, 0.3816, 0.7314)
Ca (0.3622, 0.0022, 0.7376)
Ca (0.3622, 0.4978, 0.2376)
Ca (0.6378, 0.5022, 0.7624)
Ca (0.6378, 0.9978, 0.2624)
Ca (0.9583, 0.6184, 0.2686)
Ca (0.9583, 0.8816, 0.7686)
O (0.1563, 0.1084, 0.9049)
O (0.1563, 0.3916, 0.4049)
O (0.8437, 0.6084, 0.5951)
O (0.8437, 0.8916, 0.0951)
F (0.1505, 0.6302, 0.9746)
F (0.1505, 0.8698, 0.4746)
F (0.4936, 0.7485, 0.9877)
F (0.4936, 0.7515, 0.4877)
F (0.5064, 0.2485, 0.5123)
F (0.5064, 0.2515, 0.0123)
F (0.8495, 0.1302, 0.5254)
F (0.8495, 0.3698, 0.0254)

Most intense lines, 10° ≤ 2θ ≤ 80°, sorted by position:
d (Å)  Position (°2θ)  I_rel
4.134  21.50  47
3.767  23.62  58
3.101  28.79  100
2.913  30.69  64
2.659  33.71  81
2.301  39.15  72
2.185  41.32  46
2.104  42.99  82



# 2
Diffraction record for RbCaMnBr5. The powder diffraction line list is computed, not measured: it uses a crystal structure in Alexandria, relaxed with PBE and Cu Kα (weighted mean of Kα1 and Kα2).
Peak positions follow from Bragg's law for the DFT cell and can differ from measured ones.

a = 8.0548 Å, b = 8.0548 Å, c = 10.5225 Å
α = 103.68°, β = 103.68°, γ = 106.35°
Fractional positions:
Rb (0.1576, 0.8424, 0.7500)
Rb (0.8424, 0.1576, 0.2500)
Ca (0.5000, 0.5000, 0.0000)
Ca (0.5000, 0.5000, 0.5000)
Mn (0.1840, 0.8160, 0.2500)
Mn (0.8160, 0.1840, 0.7500)
Br (0.1148, 0.2488, 0.9311)

### Request
Please retype everything further above exactly.

### Reply
1.
# Li5Cd3
Simulated powder diffractogram, copper Kα. Input: a DFT-relaxed cell (GGA-PBE, Alexandria).
Lines closer than 0.1° are merged.

Principal peaks in the range 2θ = 10–90°, low angle first:
| d (Å) | intensity |
| --- | --- |
| 6.700 | 14.5 |
| 3.869 | 100.0 |
| 3.350 | 15.8 |
| 2.987 | 20.2 |
| 2.533 | 16.6 |
| 2.364 | 62.1 |
| 2.232 | 29.6 |
| 1.933 | 17.4 |
| 1.858 | 17.9 |
| 1.578 | 20.7 |

Atomic structure:
Lattice parameters (Å, degrees): 7.737 7.737 2.987 90.00 90.00 120.00
Positions (direct):
Li (0.000, 0.245, 0.000)
Li (0.245, 0.000, 0.000)
Li (0.333, 0.667, 0.000)
Li (0.667, 0.333, 0.000)
Li (0.755, 0.755, 0.000)
Cd (0.000, 0.613, 0.500)
Cd (0.387, 0.387, 0.500)
Cd (0.613, 0.000, 0.500)

2.
# Li7Cd2
Simulated powder diffractogram, copper Kα. Input: a DFT-relaxed cell (GGA-PBE, Alexandria).
Lines closer than 0.1° are merged.

Principal peaks in the range 2θ = 10–90°, low angle first:
| d (Å) | intensity |
| --- | --- |
| 4.314 | 30.9 |
| 4.087 | 21.7 |
| 3.694 | 100.0 |
| 2.967 | 21.9 |
| 2.360 | 29.6 |
| 2.352 | 36.4 |
| 2.070 | 25.5 |
| 1.989 | 17.6 |
| 1.591 | 14.7 |
| 1.361 | 16.9 |

Atomic structure:
Lattice parameters (Å, degrees): 4.720 4.720 8.628 90.00 90.00 120.00
Positions (direct):
Li (0.000, 0.000, 0.000)
Li (0.000, 0.000, 0.328)
Li (0.000, 0.000, 0.672)
Li (0.333, 0.667, 0.108)
Li (0.333, 0.667, 0.436)
Li (0.667, 0.333, 0.564)
Li (0.667, 0.333, 0.892)
Cd (0.333, 0.667, 0.772)
Cd (0.667, 0.333, 0.228)

Please write out number 2 again, unchanged.
# Li7Cd2
Simulated powder diffractogram, copper Kα. Input: a DFT-relaxed cell (GGA-PBE, Alexandria).
Lines closer than 0.1° are merged.

Principal peaks in the range 2θ = 10–90°, low angle first:
| d (Å) | intensity |
| --- | --- |
| 4.314 | 30.9 |
| 4.087 | 21.7 |
| 3.694 | 100.0 |
| 2.967 | 21.9 |
| 2.360 | 29.6 |
| 2.352 | 36.4 |
| 2.070 | 25.5 |
| 1.989 | 17.6 |
| 1.591 | 14.7 |
| 1.361 | 16.9 |

Atomic structure:
Lattice parameters (Å, degrees): 4.720 4.720 8.628 90.00 90.00 120.00
Positions (direct):
Li (0.000, 0.000, 0.000)
Li (0.000, 0.000, 0.328)
Li (0.000, 0.000, 0.672)
Li (0.333, 0.667, 0.108)
Li (0.333, 0.667, 0.436)
Li (0.667, 0.333, 0.564)
Li (0.667, 0.333, 0.892)
Cd (0.333, 0.667, 0.772)
Cd (0.667, 0.333, 0.228)

=====

# 1
Diffraction record for Ca2OF2. The powder diffraction line list is computed, not measured: it uses a crystal structure in Alexandria, relaxed with PBE and Cu Kα (weighted mean of Kα1 and Kα2).
Peak positions follow from Bragg's law for the DFT cell and can differ from measured ones.

a = 8.2975 Å, b = 6.4998 Å, c = 5.9237 Å
α = 90.00°, β = 94.85°, γ = 90.00°
Fractional positions:
Ca (0.0417, 0.1184, 0.2314)
Ca (0.0417, 0.3816, 0.7314)
Ca (0.3622, 0.0022, 0.7376)
Ca (0.3622, 0.4978, 0.2376)
Ca (0.6378, 0.5022, 0.7624)
Ca (0.6378, 0.9978, 0.2624)
Ca (0.9583, 0.6184, 0.2686)
Ca (0.9583, 0.8816, 0.7686)
O (0.1563, 0.1084, 0.9049)
O (0.1563, 0.3916, 0.4049)
O (0.8437, 0.6084, 0.5951)
O (0.8437, 0.8916, 0.0951)
F (0.1505, 0.6302, 0.9746)
F (0.1505, 0.8698, 0.4746)
F (0.4936, 0.7485, 0.9877)
F (0.4936, 0.7515, 0.4877)
F (0.5064, 0.2485, 0.5123)
F (0.5064, 0.2515, 0.0123)
F (0.8495, 0.1302, 0.5254)
F (0.8495, 0.3698, 0.0254)

Most intense lines, 10° ≤ 2θ ≤ 80°, sorted by position:
d (Å)  Position (°2θ)  I_rel
4.134  21.50  47
3.767  23.62  58
3.101  28.79  100
2.913  30.69  64
2.659  33.71  81
2.301  39.15  72
2.185  41.32  46
2.104  42.99  82



# 2
Diffraction record for RbCaMnBr5. The powder diffraction line list is computed, not measured: it uses a crystal structure in Alexandria, relaxed with PBE and Cu Kα (weighted mean of Kα1 and Kα2).
Peak positions follow from Bragg's law for the DFT cell and can differ from measured ones.

a = 8.0548 Å, b = 8.0548 Å, c = 10.5225 Å
α = 103.68°, β = 103.68°, γ = 106.35°
Fractional positions:
Rb (0.1576, 0.8424, 0.7500)
Rb (0.8424, 0.1576, 0.2500)
Ca (0.5000, 0.5000, 0.0000)
Ca (0.5000, 0.5000, 0.5000)
Mn (0.1840, 0.8160, 0.2500)
Mn (0.8160, 0.1840, 0.7500)
Br (0.1148, 0.2488, 0.9311)